Return only the lines below with the word "lowest" in them.

********
Record 1
Density functional theory data (PBE) for a geometry-optimized Ba4InAu structure.

Lattice parameters (Å, degrees): 10.1201 10.1201 10.1201 90.00 90.00 90.00
Space group F-43m (No. 216)
Inequivalent atoms, fractional coordinates:
Ba 0.1251 0.1251 0.1251
In 0.2500 0.2500 0.7500
Au 0.0000 0.0000 0.5000

Summary:
Total moment   0.001 μB/f.u.
Final energy   -1.964 eV/atom
Crystal system   cubic
Formation enthalpy at 0 K   320 meV per atom
ΔE to the lowest computed polymorph   684.9 meV per atom
Volume   1036.5 Å³/cell



Record 2
Density functional theory data (PBE) for a geometry-optimized Ba3InAu3 structure.

Lattice parameters (Å, degrees): 12.8390 4.6392 16.5910 90.00 109.41 90.00
Space group C2/m (No. 12)
Inequivalent atoms, fractional coordinates:
Ba 0.0182 0.0000 0.3805
Ba 0.1027 0.0000 0.9238
Ba 0.2353 0.0000 0.2326
In 0.2424 0.5000 0.4132
Au 0.0260 0.5000 0.2304
Au 0.1109 0.5000 0.0778
Au 0.1251 0.5000 0.5407

Summary:
Total moment   0.000 μB/f.u.
Final energy   -3.268 eV/atom
Crystal system   monoclinic
Formation enthalpy at 0 K   -648 meV per atom
ΔE to the lowest computed polymorph   0.0 meV per atom
Volume   932.0 Å³/cell



Record 3
Density functional theory data (PBE) for a geometry-optimized Ba2InAu structure.

Lattice parameters (Å, degrees): 4.0914 5.7342 11.9655 90.00 90.00 90.00
Space group Imm2 (No. 44)
Inequivalent atoms, fractional coordinates:
Ba 0.0000 0.0000 0.0000
Ba 0.0000 0.5000 0.1936
In 0.0000 0.5000 0.7855
Au 0.0000 0.0000 0.4547

Summary:
Total moment   0.000 μB/f.u.
Final energy   -2.921 eV/atom
Crystal system   orthorhombic
Formation enthalpy at 0 K   -456 meV per atom
Volume   280.7 Å³/cell



Record 4
Density functional theory data (PBE) for a geometry-optimized BaInAu2 structure.

Lattice parameters (Å, degrees): 4.1953 7.0454 8.2552 90.00 90.00 90.00
Space group Amm2 (No. 38)
Inequivalent atoms, fractional coordinates:
Ba 0.0000 0.0000 0.0000
In 0.5000 0.0000 0.5818
Au 0.5000 0.1996 0.2875

Summary:
Total moment   0.000 μB/f.u.
Final energy   -3.316 eV/atom
Crystal system   orthorhombic
Formation enthalpy at 0 K   -512 meV per atom
Volume   244.0 Å³/cell
********

ΔE to the lowest computed polymorph   684.9 meV per atom
ΔE to the lowest computed polymorph   0.0 meV per atom